_Entries_
-- begin --
A | {"formula": "V2O3F", "functional": "PBE with a Hubbard U", "state": "relaxed", "lattice": [[3.422, 4.413, 0.000], [-3.422, 4.413, 0.000], [0.000, 0.509, 8.808]], "species": ["F", "F", "O", "V", "O", "O", "O", "O", "V", "V", "O", "O", "O", "V", "F", "V", "F", "V", "O", "O", "O", "O", "V", "V"], "fractional_positions": [[0.803, 0.197, 0.500], [0.552, 0.948, 0.749], [0.278, 0.277, 0.529], [0.133, 0.116, 0.375], [0.783, 0.776, 0.028], [0.972, 0.971, 0.221], [0.224, 0.217, 0.972], [0.723, 0.722, 0.471], [0.465, 0.535, 0.500], [0.629, 0.621, 0.875], [0.950, 0.552, 0.751], [0.309, 0.691, 0.000], [0.448, 0.050, 0.249], [0.884, 0.867, 0.625], [0.705, 0.295, 0.000], [0.046, 0.954, 0.000], [0.052, 0.448, 0.251], [0.212, 0.287, 0.751], [0.029, 0.028, 0.779], [0.533, 0.525, 0.279], [0.475, 0.467, 0.721], [0.203, 0.797, 0.500], [0.379, 0.371, 0.125], [0.713, 0.788, 0.249]]}


B | {"formula": "V2O3F", "functional": "PBE with a Hubbard U", "state": "relaxed", "lattice": [[3.480, -1.949, -3.921], [0.994, -7.374, 6.439], [-1.983, -4.324, -2.900]], "species": ["O", "O", "V", "F", "O", "O", "O", "O", "O", "V", "V", "O", "V", "O", "V", "V", "O", "V", "O", "F", "F", "F", "O", "V"], "fractional_positions": [[0.325, 0.347, 0.979], [0.114, 0.906, 0.703], [0.913, 0.774, 0.637], [0.408, 0.103, 0.801], [0.138, 0.595, 0.049], [0.813, 0.346, 0.496], [0.907, 0.103, 0.302], [0.927, 0.153, 0.773], [0.670, 0.654, 0.018], [0.002, 0.003, 0.010], [0.126, 0.250, 0.376], [0.171, 0.654, 0.519], [0.339, 0.727, 0.115], [0.081, 0.847, 0.232], [0.626, 0.250, 0.876], [0.733, 0.500, 0.253], [0.345, 0.397, 0.450], [0.250, 0.498, 0.741], [0.582, 0.847, 0.733], [0.601, 0.897, 0.201], [0.844, 0.398, 0.950], [0.651, 0.603, 0.550], [0.439, 0.154, 0.256], [0.519, 0.000, 0.498]]}


C | {"formula": "V2O3F", "functional": "PBE with a Hubbard U", "state": "relaxed", "lattice": [[3.061, -6.660, 0.000], [3.061, 6.660, 0.000], [0.000, 0.000, 6.419]], "species": ["O", "V", "O", "V", "V", "V", "O", "O", "V", "V", "O", "O", "V", "O", "V", "F", "F", "O", "F", "O", "O", "O", "F", "O"], "fractional_positions": [[0.500, 0.000, 0.809], [0.766, 0.234, 0.000], [0.352, 0.648, 0.500], [0.000, 0.500, 0.500], [0.500, 0.000, 0.500], [0.243, 0.243, 0.000], [0.648, 0.352, 0.500], [0.000, 0.500, 0.191], [0.757, 0.757, 0.000], [0.000, 0.000, 0.500], [0.500, 0.000, 0.191], [0.097, 0.903, 0.000], [0.234, 0.766, 0.000], [0.746, 0.746, 0.704], [0.500, 0.500, 0.500], [0.149, 0.851, 0.500], [0.851, 0.149, 0.500], [0.254, 0.254, 0.704], [0.399, 0.601, 0.000], [0.746, 0.746, 0.296], [0.254, 0.254, 0.296], [0.000, 0.500, 0.809], [0.601, 0.399, 0.000], [0.903, 0.097, 0.000]]}


D | {"formula": "V2O3F", "functional": "PBE with a Hubbard U", "state": "relaxed", "lattice": [[-2.533, 2.453, -3.101], [0.648, -3.622, -2.918], [-10.124, -5.175, 4.176]], "species": ["O", "O", "F", "V", "O", "V", "F", "V", "F", "O", "V", "V", "O", "O", "O", "V", "V", "F", "O", "O", "O", "V", "O", "O"], "fractional_positions": [[0.693, 0.693, 0.125], [0.800, 0.200, 0.750], [0.198, 0.802, 0.751], [0.539, 0.461, 0.251], [0.688, 0.697, 0.375], [0.997, 0.003, 0.625], [0.198, 0.802, 0.000], [0.991, 0.009, 0.875], [0.198, 0.802, 0.249], [0.798, 0.202, 0.000], [0.997, 0.003, 0.375], [0.539, 0.461, 0.749], [0.307, 0.307, 0.875], [0.688, 0.697, 0.625], [0.307, 0.307, 0.125], [0.991, 0.009, 0.125], [0.535, 0.465, 0.000], [0.796, 0.204, 0.500], [0.693, 0.693, 0.875], [0.303, 0.312, 0.625], [0.303, 0.312, 0.375], [0.451, 0.549, 0.500], [0.191, 0.809, 0.500], [0.800, 0.200, 0.250]]}


Relative calculated energies, zero for the most stable structure, unit kJ/mol of atoms: A 0.0; B 3.3; C 4.4; D 0.9.
-- stop --
_To do_
It remains to echo only the lines above with the word "zero" in them.
_Completed_
Relative calculated energies, zero for the most stable structure, unit kJ/mol of atoms: A 0.0; B 3.3; C 4.4; D 0.9.